Behold, the former things have come to pass,
and new things I now declare;
before they spring forth
• Someone pasted calculated crystals at this point:
No. 1
# LiAlSiO4
Calculated powder diffractogram, Cu Ka. Input: DFT lattice parameters and positions (GGA-PBE).
Lines closer than 0.1° are merged.

Unit cell a=5.2963 b=5.2963 c=11.4506 alpha=90.00 beta=90.00 gamma=120.00
Fractional positions:
Li1 0.0000 0.0000 0.0000
Li2 0.0000 0.0000 0.3333
Li3 0.0000 0.0000 0.6667
Al1 0.0000 0.5000 0.1667
Al2 0.5000 0.0000 0.5000
Al3 0.5000 0.5000 0.8333
Si1 0.0000 0.5000 0.6667
Si2 0.5000 0.0000 0.0000
Si3 0.5000 0.5000 0.3333
O1 0.1942 0.4001 0.7445
O2 0.1942 0.7941 0.5889
O3 0.2059 0.4001 0.2555
O4 0.2059 0.8058 0.0778
O5 0.4001 0.1942 0.9222
O6 0.4001 0.2059 0.4111
O7 0.5999 0.7941 0.4111
O8 0.5999 0.8058 0.9222
O9 0.7941 0.1942 0.0778
O10 0.7941 0.5999 0.2555
O11 0.8058 0.2059 0.5889
O12 0.8058 0.5999 0.7445

Principal peaks in the range 10 to 80 degrees two-theta, low angle first:
d (Å), intensity
4.587, 8
3.580, 100
2.648, 4
1.944, 22
1.659, 10
1.467, 11
1.349, 4
1.324, 4
1.259, 4
1.242, 6

=====

No. 2
# Pm2MgCu6
Calculated powder diffractogram, Cu Ka. Input: DFT lattice parameters and positions (GGA-PBE).
Lines closer than 0.1° are merged.

Unit cell a=5.7188 b=5.7188 c=5.6450 alpha=90.04 beta=90.04 gamma=60.08
Fractional positions:
Pm1 0.1667 0.1667 0.3413
Pm2 0.8333 0.8333 0.6587
Mg1 0.5000 0.5000 0.5000
Cu1 0.1295 0.6852 0.1521
Cu2 0.3154 0.3154 0.8480
Cu3 0.3147 0.8705 0.8479
Cu4 0.6852 0.1295 0.1521
Cu5 0.6846 0.6846 0.1520
Cu6 0.8705 0.3147 0.8479

Principal peaks in the range 10 to 80 degrees two-theta, low angle first:
d (Å), intensity
4.955, 17
3.724, 18
2.552, 37
2.477, 27
2.452, 76
2.268, 100
1.777, 20
1.572, 19
1.560, 20
1.430, 20

=====

No. 3
# Rb4PdI6
Calculated powder diffractogram, Cu Ka. Input: DFT lattice parameters and positions (GGA-PBE).
Lines closer than 0.1° are merged.

Unit cell a=9.9679 b=9.9679 c=10.3486 alpha=90.00 beta=90.00 gamma=90.00
Fractional positions:
Rb1 0.1750 0.3250 0.2500
Rb2 0.1750 0.3250 0.7500
Rb3 0.3250 0.8250 0.2500
Rb4 0.3250 0.8250 0.7500
Rb5 0.6750 0.1750 0.2500
Rb6 0.6750 0.1750 0.7500
Rb7 0.8250 0.6750 0.2500
Rb8 0.8250 0.6750 0.7500
Pd1 0.0000 0.0000 0.0000
Pd2 0.5000 0.5000 0.5000
I1 0.0000 0.0000 0.2758
I2 0.0000 0.0000 0.7242
I3 0.0845 0.7130 0.0000
I4 0.2130 0.5845 0.5000
I5 0.2870 0.0845 0.0000
I6 0.4155 0.2130 0.5000
I7 0.5000 0.5000 0.2242
I8 0.5000 0.5000 0.7758
I9 0.5845 0.7870 0.5000
I10 0.7130 0.9155 0.0000
I11 0.7870 0.4155 0.5000
I12 0.9155 0.2870 0.0000

Principal peaks in the range 10 to 80 degrees two-theta, low angle first:
d (Å), intensity
7.179, 56
7.048, 19
3.377, 100
3.260, 25
3.152, 66
3.015, 32
2.913, 27
2.587, 30
2.229, 22
2.000, 30

=====

No. 4
# PmY12Co6
Calculated powder diffractogram, Cu Ka. Input: DFT lattice parameters and positions (GGA-PBE).
Lines closer than 0.1° are merged.

Unit cell a=8.5118 b=8.5118 c=8.5118 alpha=109.47 beta=109.47 gamma=109.47
Fractional positions:
Pm1 0.0000 0.0000 0.0000
Y1 0.1152 0.8062 0.3090
Y2 0.1938 0.3090 0.5029
Y3 0.1938 0.6910 0.8848
Y4 0.3090 0.1152 0.8062
Y5 0.3090 0.5029 0.1938
I tell you of them. (Is. 42:9)
A cartoon published in the New Yorker magazine last October depicts a fish who has sprouted little hind legs emerging from a body of water onto dry land. With his front fins the fish carries a sign that reads: “The beginning is near.” The artist, Robert Leighton, deftly teases us about both the origins and the ends of the universe, while taking a clever swipe at the stock in trade of cartoonists. What can we do in the face of this cartoon but laugh?
Inserted here: records of crystals:
/*
Diffraction record for USi3Ir. The XRD peak list is theoretical, not measured: it uses a GGA-PBE-relaxed structure and Cu Kα (λ = 1.5418 Å).
Lines closer than 0.1° are merged.

Structure:
a b c (Å): 5.704 5.704 5.704
angles (deg): 137.14 137.14 62.22
Atoms (fractional coordinates):
U: 0.000 0.000 0.000
Si: 0.269 0.769 0.500
Si: 0.414 0.414 0.000
Si: 0.769 0.269 0.500
Ir: 0.655 0.655 0.000

Top 12 peaks for 5 to 70 degrees two-theta, low angle first:
2θ/deg	I/Imax
18.17	22
23.20	47
30.33	64
34.97	100
35.58	44
43.43	41
49.81	13
51.68	18
56.93	51
63.09	14
65.51	17
69.74	15

=====

Diffraction record for U2Si3Ir. The XRD peak list is theoretical, not measured: it uses a GGA-PBE-relaxed structure and Cu Kα (λ = 1.5418 Å).
Lines closer than 0.1° are merged.

Structure:
a b c (Å): 3.730 4.170 7.070
angles (deg): 90.00 90.00 90.00
Atoms (fractional coordinates):
U: 0.000 0.000 0.000
U: 0.000 0.500 0.499
Si: 0.500 0.000 0.674
Si: 0.500 0.500 0.159
Si: 0.500 0.500 0.830
Ir: 0.500 0.000 0.333

Top 12 peaks for 5 to 70 degrees two-theta, low angle first:
2θ/deg	I/Imax
12.52	18
24.79	37
25.19	18
34.67	100
34.97	49
43.40	19
44.14	37
48.83	14
56.90	25
57.72	12
67.36	11
67.92	21

=====

Diffraction record for USi2Ir2. The XRD peak list is theoretical, not measured: it uses a GGA-PBE-relaxed structure and Cu Kα (λ = 1.5418 Å).
Lines closer than 0.1° are merged.

Structure:
a b c (Å): 4.105 4.105 9.901
angles (deg): 90.00 90.00 90.00
Atoms (fractional coordinates):
U: 0.250 0.250 0.245
U: 0.750 0.750 0.755
Si: 0.250 0.250 0.633
Si: 0.250 0.750 0.000
Si: 0.750 0.250 0.000
Si: 0.750 0.750 0.367
Ir: 0.250 0.250 0.871
Ir: 0.250 0.750 0.500
Ir: 0.750 0.250 0.500
Ir: 0.750 0.750 0.129

Top 12 peaks for 5 to 70 degrees two-theta, low angle first:
2θ/deg	I/Imax
27.02	23
28.24	19
30.80	18
32.14	50
34.88	70
35.86	100
44.12	60
51.22	28
52.50	15
57.44	34
64.17	20
69.87	23

=====

Starting from a PBE-relaxed structure, the powder XRD pattern of Pm8BiSb4Te3 was computed for copper Kα.

Structural model:
```
data_Pm8BiSb4Te3
_space_group_name_H-M_alt 'P 1'
_space_group_IT_number 1
_cell_length_a 9.004
_cell_length_b 9.004
_cell_length_c 9.004
_cell_angle_alpha 59.89
_cell_angle_beta 59.89
_cell_angle_gamma 59.89
loop_
_space_group_symop_operation_xyz
'x,y,z'
loop_
_atom_site_label
_atom_site_type_symbol
_atom_site_fract_x
_atom_site_fract_y
_atom_site_fract_z
Pm1 Pm 0.246 0.748 0.748
Pm2 Pm 0.247 0.247 0.247
Pm3 Pm 0.252 0.252 0.754
Pm4 Pm 0.252 0.754 0.252
Pm5 Pm 0.748 0.246 0.748
Pm6 Pm 0.748 0.748 0.246
Pm7 Pm 0.753 0.753 0.753
Pm8 Pm 0.754 0.252 0.252
Bi1 Bi 0.000 0.000 0.000
Sb1 Sb 0.000 0.000 0.500
Sb2 Sb 0.000 0.500 0.000
Sb3 Sb 0.500 0.000 0.000
Sb4 Sb 0.500 0.500 0.500
Te1 Te 0.000 0.500 0.500
Te2 Te 0.500 0.000 0.500
Te3 Te 0.500 0.500 0.000
```

Most intense lines, 2θ from 15° to 90°, by angle:
*/
Back to the page:
As a biblical commentary, Leighton’s image is not so bad. The second verse of the Book of Genesis tells us that ‘the earth was without form and void, and the darkness was upon the face of the deep; and the Spirit of God was moving over the face of the waters.” As the creation story unfolds, there is a sense in Genesis that everything God calls forth rises up out of those dark waters as the Spirit blows his breath and beats his great wings, uncovering continents and islands, the planets and the stars, fields and forests, birds and cattle and even fish, and finally that last, wondrous creation made in God’s own image: the human person. All rising up out of the dark waters of creation.
What God began in the water he also continued in the water. Noah would be delivered from the flood and brought to a rainbow of hope. The children of Israel would be led out of captivity across the Red Sea. And today we heard that it was as Jesus was coming up from the waters of the Jordan River that the heavens opened and that same Spirit spread his wings and blew his breath to carry the voice from heaven: “This is my beloved Son, with whom I am well pleased.”
The beginning is near.
Jesus emerges from the waters of the Jordan and the promise of the Star of Bethlehem is uncovered. The hope of Israel is revealed. The light to lighten the Gentiles breaks forth. Behold, the former things had all come to pass, and a new thing God now declares in the person of his beloved Son. The beginning is near.
Christians are born in water. We are brought up out of water by the great power of God’s Holy Spirit, breathing his holy breath into our lives, our lungs. We are reborn into the world God made long ago, when God leads us through the fresh springs of a baptismal font, whether it’s three meters deep or three inches deep. In water are Christians born by the power of God’s breath. In water does God declare new things, new hope, new life.
Much has come to pass since the beginning: the creation of God’s majestic hand has been defaced by any means we can imagine. As a people made in God’s image, we have erred and strayed from our ways like lost sheep. As inheritors of light we have so often preferred the dark. So much has come to pass. But at the waters of baptism – so still and unassuming (not even a ripple) – the beginning is near. The awesome power of God’s hand to make a new thing, to bring life, to bless, to anoint, to hallow, and to heal is right here at the edge of the water, where the beginning is near.
In baptism God calls us, his children, back to the beginning. God buries us for a moment beneath the face of the deep, submerging us in those primeval waters so that we can be positioned beneath the wings of the Holy Spirit to uncover us and breathe his holy breath into us. God, who has led us through the ages of human history, allows each of his children to begin at the beginning, unburdened by the baggage of what has been an admittedly checkered past. So he leads each one of us to a place where the beginning is near in order to soak us in the gift of his blessing, his grace, his mercy, his love.
What God began in the water he also continues in the water. For this reason you will find water somewhere near every door of this church, so that whether coming or going we can remind ourselves of who we are and what God has done for us. He has brought us, by baptism, to a holy place in our lives where the beginning is near, so that we can be whomever it is he calls us to be. Washed and reborn by baptism we emerge from the water onto dry ground so that we might evolve, day by day, into the creatures God made us to be: bearers of his own image and likeness, and members of the Body of his beloved Son.
Long ago there was a man named John who came to bear witness to that Son. He baptized people with water, and his call to repentance was demanding, urgent, with not a little fury. Even listening to him all these centuries later, we could be forgiven for thinking that his message finally, was that the end is near and if you don’t want to get left behind you’d better listen up!
But then came Jesus, to fulfill all righteousness. And in the waters of the Jordan, John’s message was transposed: the fear of the end of time transformed into the hope of the beginning of time. And a new world was born, full of promise and hope. And the wings of a dove stirred the air with the power of the Spirit’s wings. And a wind blew in with a voice from heaven. And the Son of God was made known. And the beginning was near.
Behold, the former things have come to pass,
and new things I now declare;
before they spring forth
I tell you of them.
And that same Spirit hovers over us, always leading us to the water, beckoning us to be washed or to remember that once we were washed there in the water where God began his work of love and where he continues it day by day. And where, day by day, the beginning is near. Thanks be to God.
Preached by Fr. Sean Mullen
13 January 2008
(Attached: data records)
=====
Record 1
For CeZn10Pd2, a cell relaxed with PBE gives the theoretical powder X-ray diffraction pattern in this record (λ = 1.5418 Å (Cu Kα)).
Kinematic intensities with the Lorentz-polarization factor, no thermal factor.

Crystal structure
Cell: 5.4057 12.4837 12.6612 Å, 90.00 90.00 90.00°
Space group Fmmm (No. 69)
Inequivalent atoms, fractional coordinates:
Ce1 0.0000 0.0000 0.0000 (multiplicity 4)
Zn1 0.0000 0.1094 0.3907 (multiplicity 16)
Zn2 0.0000 0.1735 0.1780 (multiplicity 16)
Zn3 0.2500 0.2500 0.0000 (multiplicity 8)
Pd1 0.2500 0.0000 0.2500 (multiplicity 8)

Main lines, by angle (2θ from 10° to 80°):
(hkl)  2θ/deg  d/Å  intensity
1 3 3  34.52  2.598  47
2 2 2  39.00  2.309  100
1 1 5  39.97  2.255  51
1 5 1  40.43  2.231  46
0 4 4  40.59  2.222  70
2 0 4  44.06  2.055  29
2 4 0  44.34  2.043  31
0 2 6  45.38  1.998  19
0 6 2  45.91  1.977  15
2 6 6  72.80  1.299  28


Record 2
For Pr5HoGa4, a cell relaxed with PBE gives the theoretical powder X-ray diffraction pattern in this record (λ = 1.5418 Å (Cu Kα)).
Kinematic intensities with the Lorentz-polarization factor, no thermal factor.

Crystal structure
Cell: 8.0022 8.8222 8.4051 Å, 90.00 90.00 90.00°
Space group Pmmn (No. 59, origin choice 2)
Inequivalent atoms, fractional coordinates:
Pr1 0.0031 0.0546 0.2330 (multiplicity 8)
Pr2 0.2500 0.2500 0.8521 (multiplicity 2)
Ho1 0.2500 0.7500 0.4180 (multiplicity 2)
Ga1 0.0982 0.7500 0.0650 (multiplicity 4)
Ga2 0.2500 0.0957 0.5150 (multiplicity 4)

Main lines, by angle (2θ from 10° to 80°):
(hkl)  2θ/deg  d/Å  intensity
2 0 1  24.64  3.613  34
2 1 1  26.66  3.343  80
0 2 2  29.35  3.043  62
2 2 0  30.16  2.964  87
2 0 2  30.86  2.898  100
0 3 1  32.25  2.776  92
0 1 3  33.56  2.670  49
2 2 2  37.12  2.422  54
2 3 3  50.46  1.809  45
2 5 1  58.19  1.585  35


Record 3
For NpPa2PN5, a cell relaxed with PBE gives the theoretical powder X-ray diffraction pattern in this record (λ = 1.5418 Å (Cu Kα)).
Kinematic intensities with the Lorentz-polarization factor, no thermal factor.

Crystal structure
Cell: 6.5571 6.5571 5.4246 Å, 90.00 90.00 90.00°
Space group P4/mbm (No. 127)
Inequivalent atoms, fractional coordinates:
Np1 0.0000 0.0000 0.0000 (multiplicity 2)
Pa1 0.1743 0.3257 0.5000 (multiplicity 4)
P1 0.0000 0.5000 0.0000 (multiplicity 2)
N1 0.0000 0.0000 0.5000 (multiplicity 2)
N2 0.1401 0.6401 0.2337 (multiplicity 8)

Main lines, by angle (2θ from 10° to 80°):
(hkl)  2θ/deg  d/Å  intensity
1 1 1  25.27  3.525  52
2 1 0  30.48  2.932  35
2 0 1  31.89  2.806  100
0 0 2  33.03  2.712  40
2 1 1  34.78  2.580  68
2 2 0  38.85  2.318  21
3 1 0  43.65  2.074  33
2 1 2  45.56  1.991  39
3 1 2  55.81  1.647  26
3 3 1  62.48  1.486  24


The following is a computed powder diffractogram of Pu4Bi8Pt3. It was derived from a PBE-relaxed structure, using λ = 1.5418 Å (Cu Kα).
Neutral-atom scattering factors, no anomalous dispersion.

Principal peaks in the range 15° ≤ 2θ ≤ 90°, sorted by position:
2θ (°)	Rel. int.	(hkl)
28.66	25	0 0 6
33.21	100	1 1 4
=====
Saint Mark’s Church, Philadelphia